Lost in Space is a sci-fi American television series. It is a reboot of the 1960s series of the exact title. The show has two seasons so far, the first season premiered on April 13, 2018, followed by the second season which premiered on December 24, 2019— a Christmas Eve release. The story revolves around the Robinson family and their thrilling space expeditions until the family encountered dangers and have to fight them off to survive.
Now that season 1 & season 2 is done and over with, fans of the show have been curious to know what awaits for them. Well, we have news to share. It was announced that Netflix is finally gearing up for the post-production and the release of the third and final outing of the Lost in Space series. To know more about the upcoming season, read the post till the end.
Release Date of Lost in Space Season 3: When is it?
Ever since the emergence of the coronavirus, many shows have been badly affected and Lost in Space is among one of these shows. Filming for season 3 began in September 2020 after being delayed by the ongoing pandemic. However, on January 12, 2021, it was announced that the production has officially wrapped.
As for the release date for season 3, Netflix hasn’t provided any specific release date for the upcoming and final season of Lost in Space, but we can expect a release by the end of this year, possibly a holiday release if not by early 2022.
If you look at the timeline, it’s almost 2 years since the release of the second season and fans who have binge-watched all the season’s episodes are highly anticipating the last and final season of the series. But we hope that Netflix reveals the release date for season 3 of Lost in Space as soon as possible.
The Cast of Lost in Space Season 3: Who’s in it?
The showmakers have not made any official announcements nor made any confirmation about the cast members. So we have no clue who is returning and who is not or if they added new characters. But we do know for sure that the main characters of the show are coming back to reprise their roles. The names include:
-John Robinson played by Toby Stephens
-Maureen Robinson played by Molly Parker
-Will Robinson played by Maxwell Jenkins
-Judy Robinson played by Taylor Russell
-Penny Robinson played by Mina Sundwall
-The Robot played by Brian Steele
-June Harris/ Dr. Smith played by Parker Posey
-Don West played by Ignacio Serricchio
Plot of Season 3 Lost In Space
We expect the plot for season 3 to continue the story where the second season left off as there are so many questions to be answered as to what we have seen in the previous season. Will the Robinson family reunite and make it to safety? Also, we can expect a clear explanation of the robotic aliens in space. Hopefully, season 3 will do just that and answer our questions.
'''
The following is a theoretical powder XRD pattern of Cu3NiHgSe4. It was derived from a cell relaxed with PBE, using Cu Kα (λ = 1.5418 Å).
Neutral-atom scattering factors, no anomalous dispersion.

The 10 most intense peaks (10 to 90 degrees two-theta), by angle:
- 2θ 21.6, intensity 43, (1 1 0)
- 2θ 26.5, intensity 94, (1 1 1)
- 2θ 37.8, intensity 22, (2 1 1)
- 2θ 43.9, intensity 100, (2 2 0)
- 2θ 52.0, intensity 41, (3 1 1)
- 2θ 59.3, intensity 14, (3 2 1)
- 2θ 63.9, intensity 15, (4 0 0)
- 2θ 70.4, intensity 15, (3 3 1)
- 2θ 80.8, intensity 30, (4 2 2)
- 2θ 86.8, intensity 12, (3 3 3)

Cell and atoms:
abc: 5.8301 5.8301 5.8301
'''
And of course, we expect to see more fun-filled and thrilling adventures in season 3 of Lost in Space.